117,474 Commits over 3,987 Days - 1.23cph!
Local dynamic navmesh is now aware of when its overlapping a "prevent building" zone, and will increase it's navmesh fidelity when it is. Still a lot of work to do here to make it look good, but it's slightly better.
Added LOD materials to rocket factory prefabs
Rocket factory optimizations
Cheaper occluder
Less materials on LODs
**Unrelated to this entry: crystal structures:**
........
Here is crystalline La3Sn at its relaxed geometry from the Materials Project. Energies are from GGA-PBE.

Structure (POSCAR):
```
La3Sn
1.0
-0.245 1.192 -4.894
-2.601 -4.226 -0.899
-4.314 2.480 0.820
La Sn
3 1
direct
0.500 0.000 0.500
0.000 0.500 0.500
0.500 0.500 0.000
0.000 0.000 0.000
```

Summary:
Its energy relative to the elements is -478 meV/atom.

~~~~~

Ba2SrIrO6 (PBE, relaxed); crystal system = cubic; calculated total energy = -64.5 eV per formula unit; formation energy = -2.46 eV per atom
1.0
-4.3367 -4.3367 0.0000
-4.3367 0.0000 -4.3367
0.0000 -4.3367 -4.3367
Ba Sr Ir O
2 1 1 6
Direct
0.2500 0.2500 0.2500 Ba
0.7500 0.7500 0.7500 Ba
0.0000 0.0000 0.0000 Sr
0.5000 0.5000 0.5000 Ir
0.7248 0.7248 0.2752 O
0.2752 0.7248 0.2752 O
0.2752 0.7248 0.7248 O
0.7248 0.2752 0.2752 O
0.7248 0.2752 0.7248 O
0.2752 0.2752 0.7248 O


Ba2YIrO6 (PBE, relaxed); crystal system = cubic; calculated total energy = -72.4 eV per formula unit; formation energy = -2.77 eV per atom
1.0
-4.2258 -4.2258 0.0000
-4.2258 0.0000 -4.2258
0.0000 -4.2258 -4.2258
Ba Y Ir O
2 1 1 6
Direct
0.2500 0.2500 0.2500 Ba
0.7500 0.7500 0.7500 Ba
0.0000 0.0000 0.0000 Y
0.5000 0.5000 0.5000 Ir
0.7355 0.2645 0.2645 O
0.2645 0.7355 0.7355 O
0.7355 0.7355 0.2645 O
0.2645 0.7355 0.2645 O
0.2645 0.2645 0.7355 O
0.7355 0.2645 0.7355 O


Ba3ZnIr2O9 (PBE, relaxed); crystal system = hexagonal; calculated total energy = -94.7 eV per formula unit; formation energy = -2.11 eV per atom
1.0
-3.4780 -2.1688 4.1877
-0.0608 -2.3502 -5.3675
10.4596 -9.2131 3.9156
Ba Zn Ir O
6 2 4 18
Direct
0.3333 0.6667 0.9128 Ba
0.6667 0.3333 0.0872 Ba
0.0000 0.0000 0.2500 Ba
0.3333 0.6667 0.5872 Ba
0.6667 0.3333 0.4128 Ba
0.0000 0.0000 0.7500 Ba
0.0000 0.0000 0.0000 Zn
0.0000 0.0000 0.5000 Zn
0.3333 0.6667 0.3434 Ir
0.6667 0.3333 0.6566 Ir
0.3333 0.6667 0.1566 Ir
0.6667 0.3333 0.8434 Ir
0.5150 0.4850 0.7500 O
0.6578 0.8289 0.0829 O
0.1711 0.3422 0.0829 O
0.4850 0.9701 0.2500 O
0.6578 0.8289 0.4171 O
0.8289 0.6578 0.5829 O
0.3422 0.1711 0.9171 O
0.5150 0.0299 0.7500 O
0.1711 0.8289 0.4171 O
0.8289 0.1711 0.5829 O
0.8289 0.1711 0.9171 O
0.1711 0.3422 0.4171 O
0.3422 0.1711 0.5829 O
0.9701 0.4850 0.7500 O
0.8289 0.6578 0.9171 O
0.1711 0.8289 0.0829 O
0.0299 0.5150 0.2500 O
0.4850 0.5150 0.2500 O

~~~~~

1.
Here is a relaxed KBr3 crystal from the Materials Project database. Energies are from meta-GGA r2SCAN.

Output
Energy of formation from the pure elements ... -724 meV per atom
Total energy ... -48.69 eV per formula unit

Cell: 6.412 6.412 7.087 Å, 90.00 90.00 120.00°
Positions (direct):
K: 0.333 0.667 0.250
K: 0.667 0.333 0.750
Br: 0.168 0.335 0.750
Br: 0.168 0.832 0.750
Br: 0.335 0.168 0.250
Br: 0.665 0.832 0.750
Br: 0.832 0.168 0.250
Br: 0.832 0.665 0.250

2.
Here is a relaxed K4MnBr6 crystal from the Materials Project database. Energies are from meta-GGA r2SCAN.

Output
Energy of formation from the pure elements ... -1805 meV per atom
Total energy ... -138.17 eV per formula unit
........
**End of the crystal structures:**
Added cheaper LOD stages to some objects
Reduced number of materials on LODs
Cheaper materials on LODs
Added nav_local convar to allow console control over whether to use full dynamic navmesh generation at the start, or use a local navmesh per npc.
Rocket factory helicopter didnt cull - fixed
Slight quality of visuals tweaks on the Rocket at launchpad (was too degraded, popping)
Optimization pass - Reducing shader complexity and texture memory consumption on many environment assets LODs
Local dynamic navmesh now respect player distance when setting next update interval. If too far away the navmesh isn't updated at all.
Let's encapsulate with UNITY_EDITOR more correctly.
LocalDynamicNavMesh should be server only.
Merged branch to main (Humanoid Npc Planner). Scientist npc wip, cover system, local dynamic navmesh, htn planner wip.
Set up Think AI to reflect that on main.
Let's not forget to commit the deletes...
Removed strips planner.
Removed StagPoint HTN system.
General branch cleanup.
AI put to full dynamic navmesh mode.
Load balanced the Local Dynamic NavMesh baker, that we can better guide what ms budget they're allowed to spend each frame.
Enable/Disable Dynamic NavMesh on bundled/world/ai.prefab now controls whether Local Dynamic NavMesh is used (only if full Dynamic NavMesh is disabled).
Disabled Dynamic Navmesh in world/ai.prefab.
Bootstrap tests whether DynamicNavMesh.Instance.enabled
Added a local version of the dynamic navmesh, where each npc update a local navmesh around them as they move around (experiment).
More progress on HTN in Apex.
Flesh out Scientist HTN a bit more for better plan generation testing.
Make sure actions don't execute on plan generation, but is reserved for plan execution.
fixed player not showing the correct hold pose when he's carrying certain guns.
sealing on of the lift doors to avoid falling to death
added special loot to launch site rooftops
increased barrel spawns at launch site
added repair bench, recycler, research table to launch site
added radiation pockets to launch site
fixed helicopter NRE when disconnecting
fixed NRE on static repair bench when changing skins
added eye bone to helicopter for spectating
It helps to include the spawn files.
adjusted barrel spawn rates
More console autocomplete / history improvements
removed some static road bits before airfield entrance
Re-painting airfield alpha splat
Set walkway mat to two sided
Reverted previous changes (sorry guys not ready, maybe next patch)
Grass LODs fall off with 3D distance instead of 2D distance
Increased culling distance for walkways / prevent them from disappearing in plain view
Grass quality setting affects new grass
Additional LOD's for ceiling supports
**Materials data from another source follow**
........
1.
Entry from the Materials Project: a relaxed structure of Tm2N3 (PBE).

Output
**ΔE_f**: -0.768 eV/atom
**Total moment**: 0.5999 μB per atom

a = 9.3200 Å, b = 9.3200 Å, c = 9.3200 Å
α = 109.47°, β = 109.47°, γ = 109.47°
Atoms (fractional coordinates):
N  0.5101  0.7699  0.5374
N  0.4899  0.2301  0.4626
N  0.9899  0.5273  0.2599
N  0.9626  0.7325  0.9727
N  0.2599  0.9899  0.5273
N  0.7699  0.5374  0.5101
N  0.7401  0.0101  0.4727
N  0.2675  0.0273  0.0374
N  0.2401  0.7675  0.7301
N  0.2699  0.7599  0.2325
N  0.9727  0.9626  0.7325
N  0.7325  0.9727  0.9626
N  0.7599  0.2325  0.2699
N  0.7301  0.2401  0.7675
N  0.5273  0.2599  0.9899
N  0.0273  0.0374  0.2675
N  0.2301  0.4626  0.4899
N  0.0101  0.4727  0.7401
N  0.4727  0.7401  0.0101
N  0.0374  0.2675  0.0273
N  0.7675  0.7301  0.2401
N  0.5374  0.5101  0.7699
N  0.2325  0.2699  0.7599
N  0.4626  0.4899  0.2301
Tm  0.9700  0.2200  0.7500
Tm  0.4700  0.7200  0.7500
Tm  0.0300  0.7800  0.2500
Tm  0.5300  0.2800  0.2500
Tm  0.7800  0.2500  0.0300
Tm  0.5000  0.0000  0.5000
Tm  0.2500  0.5300  0.2800
Tm  0.7500  0.4700  0.7200
Tm  0.5000  0.5000  0.0000
Tm  0.2500  0.0300  0.7800
Tm  0.0000  0.5000  0.5000
Tm  0.2200  0.7500  0.9700
Tm  0.2800  0.2500  0.5300
Tm  0.0000  0.0000  0.0000
Tm  0.7500  0.9700  0.2200
Tm  0.7200  0.7500  0.4700

=====

2.
Entry from the Materials Project: a relaxed structure of U3N (PBE).

Output
**ΔE_f**: 0.212 eV/atom
**Total moment**: 0.2235 μB per atom

a = 4.0316 Å, b = 4.0316 Å, c = 4.0316 Å
α = 90.00°, β = 90.00°, γ = 90.00°
Atoms (fractional coordinates):
U  0.0000  0.5000  0.5000
U  0.5000  0.0000  0.5000
U  0.5000  0.5000  0.0000
N  0.0000  0.0000  0.0000

=====

Entry 1:
Here is a relaxed structure of La3B6Ru8 from the Materials Project database. Energies are from r²SCAN.

Output
As for the symmetry: Fmmm. The calculation puts the formation energy at -0.4874 eV/atom.

a = 10.047 Å, b = 9.203 Å, c = 5.630 Å
α = 81.42°, β = 64.93°, γ = 33.65°
Atoms (fractional coordinates):
La 0.000 0.000 0.000
La 0.181 0.181 0.819
La 0.819 0.819 0.181
B 0.165 0.493 0.507
B 0.330 0.670 0.330
B 0.493 0.165 0.835
B 0.507 0.835 0.165
B 0.670 0.330 0.670
B 0.835 0.507 0.493
Ru 0.086 0.086 0.414
Ru 0.250 0.250 0.250
Ru 0.413 0.413 0.587
Ru 0.414 0.414 0.086
Ru 0.586 0.586 0.914
Ru 0.587 0.587 0.413
Ru 0.750 0.750 0.750
Ru 0.914 0.914 0.586

Entry 2:
Here is a relaxed structure of SmY3 from the Materials Project database. Energies are from r²SCAN.

Output
For the excess energy over the best structure of this formula in the dataset, the calculation gives 6.3 kJ per mole of atoms. As for the symmetry: I4/mmm. The calculation puts the formation energy at 0.0736 eV/atom.

a = 6.234 Å, b = 6.234 Å, c = 6.234 Å
α = 131.42°, β = 131.42°, γ = 71.15°
Atoms (fractional coordinates):
Sm 0.000 0.000 0.000
Y 0.250 0.750 0.500
Y 0.500 0.500 0.000
Y 0.750 0.250 0.500

Entry 3:
Here is a relaxed structure of NaYbO2 from the Materials Project database. Energies are from r²SCAN.

Output
........
**Here the article continues**
Tweaked culling/LOD distances
added F8 framerate rainbow
decreased analytic update frequency
added performance analytics
reverted to blueprints
reverted recoil changes
re-added half block
made raiding impossible and really easy
made all cheating impossible
removed all rng
Can quick-autocomplete in console with tab
Autocomplete no longer prevents going back in the command history
RUST-1711 - invisible wall / blocker / fix attempt